Echo everything below exactly.

- - -
# 1
# K2AgMoI6

Crystalline K2AgMoI6 at its relaxed geometry (PBE, Materials Project).

POSCAR file:
```
K2AgMoI6
1.0
-4.8703 -2.9343 5.9951
-3.0021 5.1108 5.7565
-8.0477 1.8709 0.0718
I K Ag Mo
6 2 1 1
Direct
0.2417 0.7583 0.2417
0.7583 0.2417 0.2417
0.2417 0.2417 0.7583
0.2417 0.7583 0.7583
0.7583 0.7583 0.2417
0.7583 0.2417 0.7583
0.7500 0.7500 0.7500
0.2500 0.2500 0.2500
0.5000 0.5000 0.5000
0.0000 0.0000 0.0000
```

Calculated values
theoretical density	4.3	g cm⁻³
calculated formation energy	-8.55	eV per formula unit
raw total energy	-3.132	eV per atom

---

# 2
# K2NdAgI6

Crystalline K2NdAgI6 at its relaxed geometry (PBE, Materials Project).

POSCAR file:
```
K2NdAgI6
1.0
0.0000 6.1296 6.1296
6.1296 0.0000 6.1296
6.1296 6.1296 0.0000
I K Nd Ag
6 2 1 1
Direct
0.7530 0.2470 0.7530
0.2470 0.2470 0.7530
0.7530 0.7530 0.2470
0.2470 0.7530 0.7530
0.2470 0.7530 0.2470
0.7530 0.2470 0.2470
0.7500 0.7500 0.7500
0.2500 0.2500 0.2500
0.5000 0.5000 0.5000
0.0000 0.0000 0.0000
```

Calculated values
theoretical density	3.9	g cm⁻³
calculated formation energy	-13.70	eV per formula unit
raw total energy	-3.039	eV per atom

---

# 3
# K2AgSbI6

Crystalline K2AgSbI6 at its relaxed geometry (PBE, Materials Project).

POSCAR file:
```
K2AgSbI6
1.0
0.0000 6.0186 6.0186
6.0186 0.0000 6.0186
6.0186 6.0186 0.0000
I K Sb Ag
6 2 1 1
Direct
0.7485 0.2515 0.7485
0.2515 0.2515 0.7485
0.7485 0.2515 0.2515
0.2515 0.7485 0.7485
0.2515 0.7485 0.2515
0.7485 0.7485 0.2515
0.2500 0.2500 0.2500
0.7500 0.7500 0.7500
0.0000 0.0000 0.0000
0.5000 0.5000 0.5000
```

Calculated values
theoretical density	4.1	g cm⁻³
calculated formation energy	-9.58	eV per formula unit
raw total energy	-2.563	eV per atom

---

# 4
# LaAgI4O12

Crystalline LaAgI4O12 at its relaxed geometry (PBE, Materials Project).

POSCAR file:
```
LaAgI4O12
1.0
2.8859 16.1739 0.0000
-2.8859 16.1739 0.0000
0.0000 0.1508 13.0773
Ag O I La
4 48 16 4
Direct
0.0773 0.6451 0.6186
0.6451 0.0773 0.1186
0.6710 0.1989 0.7063
0.1989 0.6710 0.2063
0.0924 0.0083 0.2082
0.3770 0.4505 0.0450
0.1488 0.7832 0.6781
0.3514 0.5742 0.8701
0.5809 0.6073 0.2463
0.5742 0.3514 0.3701
0.9819 0.0753 0.5007
0.0092 0.6789 0.0330
0.9285 0.9118 0.5189
0.0628 0.8906 0.3372
0.6766 0.7671 0.9878
0.4505 0.3770 0.5450
0.1297 0.1081 0.5513
0.6789 0.0092 0.5330
0.7832 0.1488 0.1781
0.4840 0.6103 0.4263
0.1985 0.3780 0.6412
0.8341 0.7161 0.1506
0.6073 0.5809 0.7463
0.6103 0.4840 0.9263
0.6386 0.7602 0.7794
0.3780 0.1985 0.1412
0.4357 0.5838 0.1243
0.1429 0.2632 0.0789
0.8119 0.9298 0.8092
0.1449 0.1585 0.2515
0.2332 0.4254 0.4314
0.7671 0.6766 0.4878
0.0753 0.9819 0.0007
0.9573 0.6104 0.8258
0.9298 0.8119 0.3092
0.8906 0.0628 0.8372
0.5986 0.6659 0.4406
0.6104 0.9573 0.3258
0.4254 0.2332 0.9314
0.2632 0.1429 0.5789
0.7602 0.6386 0.2794
0.2922 0.1803 0.8722
0.9118 0.9285 0.0189
0.5838 0.4357 0.6243
0.1803 0.2922 0.3722
0.3849 0.3628 0.2518
0.7161 0.8341 0.6506
0.1585 0.1449 0.7515
0.3628 0.3849 0.7518
0.0083 0.0924 0.7082
0.6659 0.5986 0.9406
0.1081 0.1297 0.0513
0.3290 0.9792 0.6333
0.9557 0.5513 0.7087
0.5320 0.1375 0.7981
0.6575 0.1266 0.4607
0.9265 0.4618 0.3977
0.4081 0.7800 0.3635
0.8017 0.1928 0.2935
0.7800 0.4081 0.8635
0.4618 0.9265 0.8977
0.1266 0.6575 0.9607
0.1375 0.5320 0.2981
0.5513 0.9557 0.2087
0.8219 0.2869 0.5954
0.9792 0.3290 0.1333
0.2869 0.8219 0.0954
0.1928 0.8017 0.7935
0.0761 0.4646 0.0012
0.4646 0.0761 0.5012
0.2734 0.6844 0.4998
0.6844 0.2734 0.9998
```

Calculated values
theoretical density	5.1	g cm⁻³
calculated formation energy	-23.17	eV per formula unit
raw total energy	-4.898	eV per atom

---

# 5
# Rb2AgMoI6

Crystalline Rb2AgMoI6 at its relaxed geometry (PBE, Materials Project).

POSCAR file:
```
Rb2AgMoI6
1.0
-0.5138 -6.7950 -4.7317
-5.9633 -5.5932 1.4070
-6.2532 -0.8406 -5.3866
I Rb Ag Mo
6 2 1 1
Direct
0.2414 0.2414 0.7586
0.2414 0.7586 0.7586
0.7586 0.2414 0.2414
0.7586 0.7586 0.2414
0.7586 0.2414 0.7586
0.2414 0.7586 0.2414
0.7500 0.7500 0.7500
0.2500 0.2500 0.2500
0.5000 0.5000 0.5000
- - -

# 1
# K2AgMoI6

Crystalline K2AgMoI6 at its relaxed geometry (PBE, Materials Project).

POSCAR file:
```
K2AgMoI6
1.0
-4.8703 -2.9343 5.9951
-3.0021 5.1108 5.7565
-8.0477 1.8709 0.0718
I K Ag Mo
6 2 1 1
Direct
0.2417 0.7583 0.2417
0.7583 0.2417 0.2417
0.2417 0.2417 0.7583
0.2417 0.7583 0.7583
0.7583 0.7583 0.2417
0.7583 0.2417 0.7583
0.7500 0.7500 0.7500
0.2500 0.2500 0.2500
0.5000 0.5000 0.5000
0.0000 0.0000 0.0000
```

Calculated values
theoretical density	4.3	g cm⁻³
calculated formation energy	-8.55	eV per formula unit
raw total energy	-3.132	eV per atom

---

# 2
# K2NdAgI6

Crystalline K2NdAgI6 at its relaxed geometry (PBE, Materials Project).

POSCAR file:
```
K2NdAgI6
1.0
0.0000 6.1296 6.1296
6.1296 0.0000 6.1296
6.1296 6.1296 0.0000
I K Nd Ag
6 2 1 1
Direct
0.7530 0.2470 0.7530
0.2470 0.2470 0.7530
0.7530 0.7530 0.2470
0.2470 0.7530 0.7530
0.2470 0.7530 0.2470
0.7530 0.2470 0.2470
0.7500 0.7500 0.7500
0.2500 0.2500 0.2500
0.5000 0.5000 0.5000
0.0000 0.0000 0.0000
```

Calculated values
theoretical density	3.9	g cm⁻³
calculated formation energy	-13.70	eV per formula unit
raw total energy	-3.039	eV per atom

---

# 3
# K2AgSbI6

Crystalline K2AgSbI6 at its relaxed geometry (PBE, Materials Project).

POSCAR file:
```
K2AgSbI6
1.0
0.0000 6.0186 6.0186
6.0186 0.0000 6.0186
6.0186 6.0186 0.0000
I K Sb Ag
6 2 1 1
Direct
0.7485 0.2515 0.7485
0.2515 0.2515 0.7485
0.7485 0.2515 0.2515
0.2515 0.7485 0.7485
0.2515 0.7485 0.2515
0.7485 0.7485 0.2515
0.2500 0.2500 0.2500
0.7500 0.7500 0.7500
0.0000 0.0000 0.0000
0.5000 0.5000 0.5000
```

Calculated values
theoretical density	4.1	g cm⁻³
calculated formation energy	-9.58	eV per formula unit
raw total energy	-2.563	eV per atom

---

# 4
# LaAgI4O12

Crystalline LaAgI4O12 at its relaxed geometry (PBE, Materials Project).

POSCAR file:
```
LaAgI4O12
1.0
2.8859 16.1739 0.0000
-2.8859 16.1739 0.0000
0.0000 0.1508 13.0773
Ag O I La
4 48 16 4
Direct
0.0773 0.6451 0.6186
0.6451 0.0773 0.1186
0.6710 0.1989 0.7063
0.1989 0.6710 0.2063
0.0924 0.0083 0.2082
0.3770 0.4505 0.0450
0.1488 0.7832 0.6781
0.3514 0.5742 0.8701
0.5809 0.6073 0.2463
0.5742 0.3514 0.3701
0.9819 0.0753 0.5007
0.0092 0.6789 0.0330
0.9285 0.9118 0.5189
0.0628 0.8906 0.3372
0.6766 0.7671 0.9878
0.4505 0.3770 0.5450
0.1297 0.1081 0.5513
0.6789 0.0092 0.5330
0.7832 0.1488 0.1781
0.4840 0.6103 0.4263
0.1985 0.3780 0.6412
0.8341 0.7161 0.1506
0.6073 0.5809 0.7463
0.6103 0.4840 0.9263
0.6386 0.7602 0.7794
0.3780 0.1985 0.1412
0.4357 0.5838 0.1243
0.1429 0.2632 0.0789
0.8119 0.9298 0.8092
0.1449 0.1585 0.2515
0.2332 0.4254 0.4314
0.7671 0.6766 0.4878
0.0753 0.9819 0.0007
0.9573 0.6104 0.8258
0.9298 0.8119 0.3092
0.8906 0.0628 0.8372
0.5986 0.6659 0.4406
0.6104 0.9573 0.3258
0.4254 0.2332 0.9314
0.2632 0.1429 0.5789
0.7602 0.6386 0.2794
0.2922 0.1803 0.8722
0.9118 0.9285 0.0189
0.5838 0.4357 0.6243
0.1803 0.2922 0.3722
0.3849 0.3628 0.2518
0.7161 0.8341 0.6506
0.1585 0.1449 0.7515
0.3628 0.3849 0.7518
0.0083 0.0924 0.7082
0.6659 0.5986 0.9406
0.1081 0.1297 0.0513
0.3290 0.9792 0.6333
0.9557 0.5513 0.7087
0.5320 0.1375 0.7981
0.6575 0.1266 0.4607
0.9265 0.4618 0.3977
0.4081 0.7800 0.3635
0.8017 0.1928 0.2935
0.7800 0.4081 0.8635
0.4618 0.9265 0.8977
0.1266 0.6575 0.9607
0.1375 0.5320 0.2981
0.5513 0.9557 0.2087
0.8219 0.2869 0.5954
0.9792 0.3290 0.1333
0.2869 0.8219 0.0954
0.1928 0.8017 0.7935
0.0761 0.4646 0.0012
0.4646 0.0761 0.5012
0.2734 0.6844 0.4998
0.6844 0.2734 0.9998
```

Calculated values
theoretical density	5.1	g cm⁻³
calculated formation energy	-23.17	eV per formula unit
raw total energy	-4.898	eV per atom

---

# 5
# Rb2AgMoI6

Crystalline Rb2AgMoI6 at its relaxed geometry (PBE, Materials Project).

POSCAR file:
```
Rb2AgMoI6
1.0
-0.5138 -6.7950 -4.7317
-5.9633 -5.5932 1.4070
-6.2532 -0.8406 -5.3866
I Rb Ag Mo
6 2 1 1
Direct
0.2414 0.2414 0.7586
0.2414 0.7586 0.7586
0.7586 0.2414 0.2414
0.7586 0.7586 0.2414
0.7586 0.2414 0.7586
0.2414 0.7586 0.2414
0.7500 0.7500 0.7500
0.2500 0.2500 0.2500
0.5000 0.5000 0.5000